Material:
/*
Record 1
4
Lattice="-4.746 -0.716 -0.461 -2.635 -1.243 3.842 -3.110 3.150 1.912" Properties=species:S:1:pos:R:3 comment="GdCuRhPb PBE relaxed" spacegroup="No. 216" vol_a3_per_atom=19.82 dft_energy_ev_per_atom=-7.629 magmom_total_mub_per_fu=7.1 delta_e_f_ev_per_atom=-0.3193 pbc="T T T"
Pb -7.868 0.893 3.970
Gd -2.623 0.298 1.323
Rh 0.000 0.000 0.000
Cu -5.245 0.595 2.647


Record 2
4
Lattice="-2.609 4.266 0.931 -4.559 0.712 -2.141 -4.205 -0.163 2.857" Properties=species:S:1:pos:R:3 comment="GdScCuPb PBE relaxed" spacegroup="No. 216" vol_a3_per_atom=23.26 dft_energy_ev_per_atom=-7.338 magmom_total_mub_per_fu=7.9 delta_e_f_ev_per_atom=-0.2839 pbc="T T T"
Pb 0.000 0.000 0.000
Sc -2.843 1.204 0.412
Gd -8.529 3.611 1.235
Cu -5.686 2.408 0.823


Record 3
4
Lattice="-4.388 -3.209 -0.042 0.340 -5.044 -2.000 -0.273 -4.275 3.347" Properties=species:S:1:pos:R:3 comment="SrGdCuPb PBE relaxed" spacegroup="No. 216" vol_a3_per_atom=28.40 dft_energy_ev_per_atom=-6.159 magmom_total_mub_per_fu=7.0 delta_e_f_ev_per_atom=-0.2670 pbc="T T T"
Pb -3.241 -9.396 0.979
Sr 0.000 0.000 0.000
Gd -2.161 -6.264 0.652
Cu -1.080 -3.132 0.326


Record 4
4
Lattice="4.934 0.000 0.000 2.467 4.273 0.000 2.467 1.424 4.028" Properties=species:S:1:pos:R:3 comment="GdZnCuPb PBE relaxed" spacegroup="No. 216" vol_a3_per_atom=21.23 dft_energy_ev_per_atom=-5.964 magmom_total_mub_per_fu=7.0 delta_e_f_ev_per_atom=-0.1744 pbc="T T T"
Pb 4.934 2.849 2.014
Zn 7.401 4.273 3.021
Gd 0.000 0.000 0.000
Cu 2.467 1.424 1.007


Record 5
6
Lattice="5.317 0.000 0.000 2.659 4.605 0.000 2.659 1.535 4.341" Properties=species:S:1:pos:R:3 comment="GdCuPd4 PBE relaxed" spacegroup="No. 216" vol_a3_per_atom=17.72 dft_energy_ev_per_atom=-6.923 magmom_total_mub_per_fu=7.1 delta_e_f_ev_per_atom=-0.4318 pbc="T T T"
Gd 2.659 1.535 1.085
Cu 0.000 0.000 0.000
Pd 5.317 3.070 0.537
Pd 5.317 1.530 2.715
Pd 6.651 3.840 2.715
Pd 3.983 3.840 2.715


Record 6
4
Lattice="-2.494 4.035 1.693 -3.475 -0.519 3.608 0.900 1.755 4.634" Properties=species:S:1:pos:R:3 comment="PmGdCuPd PBE relaxed" spacegroup="No. 216" vol_a3_per_atom=22.59 dft_energy_ev_per_atom=-7.524 magmom_total_mub_per_fu=7.2 delta_e_f_ev_per_atom=-0.4940 pbc="T T T"
Gd -2.535 2.636 4.968
Cu -1.267 1.318 2.484
Pd -3.802 3.954 7.452
Pm 0.000 0.000 0.000


Record 7
4
Lattice="4.671 0.000 0.000 2.336 4.046 0.000 2.336 1.349 3.814" Properties=species:S:1:pos:R:3 comment="GdCuPdPt PBE relaxed" spacegroup="No. 216" vol_a3_per_atom=18.02 dft_energy_ev_per_atom=-7.958 magmom_total_mub_per_fu=7.1 delta_e_f_ev_per_atom=-0.6048 pbc="T T T"
Gd 0.000 0.000 0.000
Pd 2.336 1.349 0.954
Pt 7.007 4.046 2.861
Cu 4.671 2.697 1.907


Record 8
4
Lattice="-1.049 3.835 -3.129 -4.700 0.606 -1.772 -2.829 3.874 1.606" Properties=species:S:1:pos:R:3 comment="GdThCuPd PBE relaxed" spacegroup="No. 216" vol_a3_per_atom=22.89 dft_energy_ev_per_atom=-8.117 magmom_total_mub_per_fu=7.4 delta_e_f_ev_per_atom=-0.4194 pbc="T T T"
Gd 0.000 0.000 0.000
Pd -6.434 6.236 -2.471
Th -4.289 4.157 -1.647
Cu -2.145 2.079 -0.824


Record 9
4
Lattice="4.739 0.000 0.000 2.370 4.104 0.000 2.370 1.368 3.870" Properties=species:S:1:pos:R:3 comment="GdTiCuPd PBE relaxed" spacegroup="No. 216" vol_a3_per_atom=18.82 dft_energy_ev_per_atom=-8.064 magmom_total_mub_per_fu=8.4 delta_e_f_ev_per_atom=-0.2475 pbc="T T T"
Gd 7.109 4.104 2.902
Cu 4.739 2.736 1.935
Pd 0.000 0.000 0.000
Ti 2.370 1.368 0.967


Record 10
4
Lattice="5.006 0.000 0.000 2.503 4.335 0.000 2.503 1.445 4.087" Properties=species:S:1:pos:R:3 comment="PmGdCu2 PBE relaxed" spacegroup="No. 225" vol_a3_per_atom=22.17 dft_energy_ev_per_atom=-6.939 magmom_total_mub_per_fu=7.3 delta_e_f_ev_per_atom=-0.1833 relative_energy_ev_per_atom=0.006 pbc="T T T"
Gd 5.006 2.890 2.044
Cu 7.509 4.335 3.065
Cu 2.503 1.445 1.022
Pm 0.000 0.000 0.000


Record 11
3
*/

What to do:
Could you type out the calculation results earlier on exactly?

Reply:
Record 1
4
Lattice="-4.746 -0.716 -0.461 -2.635 -1.243 3.842 -3.110 3.150 1.912" Properties=species:S:1:pos:R:3 comment="GdCuRhPb PBE relaxed" spacegroup="No. 216" vol_a3_per_atom=19.82 dft_energy_ev_per_atom=-7.629 magmom_total_mub_per_fu=7.1 delta_e_f_ev_per_atom=-0.3193 pbc="T T T"
Pb -7.868 0.893 3.970
Gd -2.623 0.298 1.323
Rh 0.000 0.000 0.000
Cu -5.245 0.595 2.647


Record 2
4
Lattice="-2.609 4.266 0.931 -4.559 0.712 -2.141 -4.205 -0.163 2.857" Properties=species:S:1:pos:R:3 comment="GdScCuPb PBE relaxed" spacegroup="No. 216" vol_a3_per_atom=23.26 dft_energy_ev_per_atom=-7.338 magmom_total_mub_per_fu=7.9 delta_e_f_ev_per_atom=-0.2839 pbc="T T T"
Pb 0.000 0.000 0.000
Sc -2.843 1.204 0.412
Gd -8.529 3.611 1.235
Cu -5.686 2.408 0.823


Record 3
4
Lattice="-4.388 -3.209 -0.042 0.340 -5.044 -2.000 -0.273 -4.275 3.347" Properties=species:S:1:pos:R:3 comment="SrGdCuPb PBE relaxed" spacegroup="No. 216" vol_a3_per_atom=28.40 dft_energy_ev_per_atom=-6.159 magmom_total_mub_per_fu=7.0 delta_e_f_ev_per_atom=-0.2670 pbc="T T T"
Pb -3.241 -9.396 0.979
Sr 0.000 0.000 0.000
Gd -2.161 -6.264 0.652
Cu -1.080 -3.132 0.326


Record 4
4
Lattice="4.934 0.000 0.000 2.467 4.273 0.000 2.467 1.424 4.028" Properties=species:S:1:pos:R:3 comment="GdZnCuPb PBE relaxed" spacegroup="No. 216" vol_a3_per_atom=21.23 dft_energy_ev_per_atom=-5.964 magmom_total_mub_per_fu=7.0 delta_e_f_ev_per_atom=-0.1744 pbc="T T T"
Pb 4.934 2.849 2.014
Zn 7.401 4.273 3.021
Gd 0.000 0.000 0.000
Cu 2.467 1.424 1.007


Record 5
6
Lattice="5.317 0.000 0.000 2.659 4.605 0.000 2.659 1.535 4.341" Properties=species:S:1:pos:R:3 comment="GdCuPd4 PBE relaxed" spacegroup="No. 216" vol_a3_per_atom=17.72 dft_energy_ev_per_atom=-6.923 magmom_total_mub_per_fu=7.1 delta_e_f_ev_per_atom=-0.4318 pbc="T T T"
Gd 2.659 1.535 1.085
Cu 0.000 0.000 0.000
Pd 5.317 3.070 0.537
Pd 5.317 1.530 2.715
Pd 6.651 3.840 2.715
Pd 3.983 3.840 2.715


Record 6
4
Lattice="-2.494 4.035 1.693 -3.475 -0.519 3.608 0.900 1.755 4.634" Properties=species:S:1:pos:R:3 comment="PmGdCuPd PBE relaxed" spacegroup="No. 216" vol_a3_per_atom=22.59 dft_energy_ev_per_atom=-7.524 magmom_total_mub_per_fu=7.2 delta_e_f_ev_per_atom=-0.4940 pbc="T T T"
Gd -2.535 2.636 4.968
Cu -1.267 1.318 2.484
Pd -3.802 3.954 7.452
Pm 0.000 0.000 0.000


Record 7
4
Lattice="4.671 0.000 0.000 2.336 4.046 0.000 2.336 1.349 3.814" Properties=species:S:1:pos:R:3 comment="GdCuPdPt PBE relaxed" spacegroup="No. 216" vol_a3_per_atom=18.02 dft_energy_ev_per_atom=-7.958 magmom_total_mub_per_fu=7.1 delta_e_f_ev_per_atom=-0.6048 pbc="T T T"
Gd 0.000 0.000 0.000
Pd 2.336 1.349 0.954
Pt 7.007 4.046 2.861
Cu 4.671 2.697 1.907


Record 8
4
Lattice="-1.049 3.835 -3.129 -4.700 0.606 -1.772 -2.829 3.874 1.606" Properties=species:S:1:pos:R:3 comment="GdThCuPd PBE relaxed" spacegroup="No. 216" vol_a3_per_atom=22.89 dft_energy_ev_per_atom=-8.117 magmom_total_mub_per_fu=7.4 delta_e_f_ev_per_atom=-0.4194 pbc="T T T"
Gd 0.000 0.000 0.000
Pd -6.434 6.236 -2.471
Th -4.289 4.157 -1.647
Cu -2.145 2.079 -0.824


Record 9
4
Lattice="4.739 0.000 0.000 2.370 4.104 0.000 2.370 1.368 3.870" Properties=species:S:1:pos:R:3 comment="GdTiCuPd PBE relaxed" spacegroup="No. 216" vol_a3_per_atom=18.82 dft_energy_ev_per_atom=-8.064 magmom_total_mub_per_fu=8.4 delta_e_f_ev_per_atom=-0.2475 pbc="T T T"
Gd 7.109 4.104 2.902
Cu 4.739 2.736 1.935
Pd 0.000 0.000 0.000
Ti 2.370 1.368 0.967


Record 10
4
Lattice="5.006 0.000 0.000 2.503 4.335 0.000 2.503 1.445 4.087" Properties=species:S:1:pos:R:3 comment="PmGdCu2 PBE relaxed" spacegroup="No. 225" vol_a3_per_atom=22.17 dft_energy_ev_per_atom=-6.939 magmom_total_mub_per_fu=7.3 delta_e_f_ev_per_atom=-0.1833 relative_energy_ev_per_atom=0.006 pbc="T T T"
Gd 5.006 2.890 2.044
Cu 7.509 4.335 3.065
Cu 2.503 1.445 1.022
Pm 0.000 0.000 0.000


Record 11
3